[Listing]
A plane-wave DFT calculation with meta-GGA SCAN was carried out for a PBEsol-optimized structure of YCrSn2Te.

Output
Theoretical density = 4.61 Mg/m³
Calculated total energy = -30.4948 eV per atom
Formation energy without anion corrections = 54.9 kJ/mol of atoms

The structure in CIF format:
```
data_YCrSn2Te
_space_group_name_H-M_alt 'P 4/m m m'
_space_group_IT_number 123
_space_group_name_Hall '-P 4 2'
_cell_length_a 5.703
_cell_length_b 5.703
_cell_length_c 5.599
_cell_angle_alpha 90.00
_cell_angle_beta 90.00
_cell_angle_gamma 90.00
loop_
_atom_site_label
_atom_site_type_symbol
_atom_site_fract_x
_atom_site_fract_y
_atom_site_fract_z
Y1 Y 0.000 0.000 0.000
Cr1 Cr 0.500 0.500 0.500
Sn1 Sn 0.000 0.500 0.000
Te1 Te 0.000 0.000 0.500
```

---

A plane-wave DFT calculation with meta-GGA SCAN was carried out for a PBEsol-optimized structure of TiCr3Sn.

Output
Theoretical density = 6.33 Mg/m³
Calculated total energy = -20.2518 eV per atom

The structure in CIF format:
```
data_TiCr3Sn
_space_group_name_H-M_alt 'P m -3 m'
_space_group_IT_number 221
_space_group_name_Hall '-P 4 2 3'
_cell_length_a 4.390
_cell_length_b 4.390
_cell_length_c 4.390
_cell_angle_alpha 90.00
_cell_angle_beta 90.00
_cell_angle_gamma 90.00
loop_
_atom_site_label
_atom_site_type_symbol
_atom_site_fract_x
_atom_site_fract_y
_atom_site_fract_z
Ti1 Ti 0.000 0.000 0.000
Cr1 Cr 0.000 0.000 0.500
Sn1 Sn 0.500 0.500 0.500
```

---

| no. | total magnetic moment (μB/f.u.) |
| --- | --- |
| 1 | 5.04 |
| 2 | 7.67 |

----------

The following is a PBE-GGA calculation of PAu2Se2 after structural relaxation, from Alexandria via LeMat-Bulk.

```
PAu2Se2
1.0
-4.072 -5.827 1.639
6.031 -3.741 1.688
-0.276 1.247 3.746
Se P Au
4 2 4
Direct
0.297 0.797 0.000 Se
0.203 0.297 0.000 Se
0.703 0.203 0.000 Se
0.797 0.703 0.000 Se
0.000 0.000 0.000 P
0.500 0.500 0.000 P
0.868 0.368 0.500 Au
0.132 0.632 0.500 Au
0.368 0.132 0.500 Au
0.632 0.868 0.500 Au
```

* energy relative to the elements, uncorrected: 0.444 eV/atom
* energy relative to the lowest polymorph listed for this composition: 0.000 eV per atom
* spin magnetization: 0.0 Bohr magnetons per cell

[What to do]
It remains to return the block above word for word.

[Result]
A plane-wave DFT calculation with meta-GGA SCAN was carried out for a PBEsol-optimized structure of YCrSn2Te.

Output
Theoretical density = 4.61 Mg/m³
Calculated total energy = -30.4948 eV per atom
Formation energy without anion corrections = 54.9 kJ/mol of atoms

The structure in CIF format:
```
data_YCrSn2Te
_space_group_name_H-M_alt 'P 4/m m m'
_space_group_IT_number 123
_space_group_name_Hall '-P 4 2'
_cell_length_a 5.703
_cell_length_b 5.703
_cell_length_c 5.599
_cell_angle_alpha 90.00
_cell_angle_beta 90.00
_cell_angle_gamma 90.00
loop_
_atom_site_label
_atom_site_type_symbol
_atom_site_fract_x
_atom_site_fract_y
_atom_site_fract_z
Y1 Y 0.000 0.000 0.000
Cr1 Cr 0.500 0.500 0.500
Sn1 Sn 0.000 0.500 0.000
Te1 Te 0.000 0.000 0.500
```

---

A plane-wave DFT calculation with meta-GGA SCAN was carried out for a PBEsol-optimized structure of TiCr3Sn.

Output
Theoretical density = 6.33 Mg/m³
Calculated total energy = -20.2518 eV per atom

The structure in CIF format:
```
data_TiCr3Sn
_space_group_name_H-M_alt 'P m -3 m'
_space_group_IT_number 221
_space_group_name_Hall '-P 4 2 3'
_cell_length_a 4.390
_cell_length_b 4.390
_cell_length_c 4.390
_cell_angle_alpha 90.00
_cell_angle_beta 90.00
_cell_angle_gamma 90.00
loop_
_atom_site_label
_atom_site_type_symbol
_atom_site_fract_x
_atom_site_fract_y
_atom_site_fract_z
Ti1 Ti 0.000 0.000 0.000
Cr1 Cr 0.000 0.000 0.500
Sn1 Sn 0.500 0.500 0.500
```

---

| no. | total magnetic moment (μB/f.u.) |
| --- | --- |
| 1 | 5.04 |
| 2 | 7.67 |

----------

The following is a PBE-GGA calculation of PAu2Se2 after structural relaxation, from Alexandria via LeMat-Bulk.

```
PAu2Se2
1.0
-4.072 -5.827 1.639
6.031 -3.741 1.688
-0.276 1.247 3.746
Se P Au
4 2 4
Direct
0.297 0.797 0.000 Se
0.203 0.297 0.000 Se
0.703 0.203 0.000 Se
0.797 0.703 0.000 Se
0.000 0.000 0.000 P
0.500 0.500 0.000 P
0.868 0.368 0.500 Au
0.132 0.632 0.500 Au
0.368 0.132 0.500 Au
0.632 0.868 0.500 Au
```

* energy relative to the elements, uncorrected: 0.444 eV/atom
* energy relative to the lowest polymorph listed for this composition: 0.000 eV per atom
* spin magnetization: 0.0 Bohr magnetons per cell